6-min walk from Exit E3, Sheung Wan MTR Station continue reading
Opening Hours
-- Attached: records of molecules --
~~~
Molecular formula: C45H116N4O15
Method: DFT, ωB97M-V/def2-TZVPD

The energy above the lowest of the compared OMol25 structures with the same formula, charge and spin comes out at 0.380 eV. The total energy comes out at -3131.41691 Ha. The lowest unoccupied orbital energy (spin up / spin down) comes out at 2.01 / 1.99 eV. The calculation puts the HOMO-LUMO gap (spin up / spin down) at 1.41 / 8.73 eV. As for the net charge: -1. For the HOMO energy (spin up / spin down), the calculation gives 0.02223 / -0.24765 hartree. Its spin multiplicity is 2.

XYZ file:
```
180
C45H116N4O15, DFT ωB97M-V/def2-TZVPD
O -3.74174 -0.15125 -5.40853
O -8.90396 3.27012 -0.21670
O 0.94631 -0.58016 6.91733
O 6.44156 3.88839 0.94513
O -5.76162 -2.26324 3.37238
O 1.63391 -5.17741 -0.20592
O -1.87869 1.77130 3.92411
O 5.59342 4.09256 -4.81665
O 3.10239 1.43402 2.56659
O 4.26836 -6.10958 -4.56125
O 0.16609 0.93789 0.42717
O 4.68573 -1.23854 -5.11710
O -4.60366 0.92837 0.19698
O -1.04428 -3.03635 1.14046
O 2.01920 -1.67350 -4.05786
N -7.44316 1.20881 1.05491
N -0.69572 1.96991 6.50485
N 2.68236 -3.99733 -2.61052
N -2.72450 -2.66099 3.53170
C 2.79560 -3.39372 -1.27339
C -9.60666 2.27080 0.51523
C 2.37874 -0.51879 7.07029
C 0.56996 -0.19710 -5.08516
C -1.82310 2.82595 6.12765
C -8.75411 0.99054 0.54492
C -2.86675 0.76606 -3.34454
C -9.60444 4.50257 -0.35702
C 0.23272 0.22262 7.85250
C 5.06591 -0.08436 -4.43619
C -1.52162 -1.90021 3.29101
C 1.68543 0.39934 -1.24818
C 1.64730 -3.75472 -0.35920
C 0.37848 1.17652 -0.92320
C -0.22318 -2.36155 -4.02855
C 0.44783 -5.69551 0.47140
C -6.67572 -0.00652 1.08238
C -3.51333 1.77642 0.56468
C 3.90273 -3.98884 -3.27218
C 1.52525 0.46793 4.02761
C -5.01217 -2.35690 4.56074
C -2.66356 2.16879 4.98025
C -5.27999 0.31920 1.33122
C 5.90409 2.65106 1.32108
C -3.13082 1.02403 -4.84117
C -4.04248 2.15090 -5.09022
C 3.67421 5.53164 -4.68477
C -3.62444 -1.82745 4.40310
C 5.24204 2.04174 0.07363
C 0.86505 -1.64615 -4.81308
C 4.12941 3.49112 -3.12292
C 5.23400 -0.47172 -3.01203
C -1.45188 2.84025 3.06258
C -1.12112 -1.90477 0.21364
C -1.10480 0.83996 7.35030
C 2.78797 0.28429 3.21825
C 2.72065 -0.84314 2.13139
C 7.03237 1.78343 1.74268
C 6.23567 0.59601 -5.12271
C 4.61543 -6.82835 -5.73180
C 3.96403 -4.72249 -4.69854
C 4.74680 4.69413 -3.90271
C 0.63237 2.67860 -1.17046
C -7.04979 -2.98690 3.47673
C -0.53955 -2.74524 2.45902
H 5.34334 5.35072 -3.26938
H -0.25348 3.21790 -0.83505
H 2.21029 -4.88513 -2.51534
H 4.89570 1.03633 0.31300
H -4.74365 -0.62189 1.45280
H 0.62154 0.41397 -4.18403
H 5.68074 0.26226 -2.34135
H -6.75940 -4.03173 3.58679
H 7.11515 -0.04231 -5.20734
H -0.67249 3.45615 3.51125
H 6.69096 0.75996 1.89772
H -4.97255 1.99864 -4.54259
H -2.37062 3.12012 7.02307
H -0.44742 0.76298 -1.50197
H 1.50182 3.12117 -0.68438
H 5.52301 -6.45214 -6.20391
H 0.72297 0.63596 3.30913
H 1.48371 1.27305 4.76120
H -10.58180 2.06090 0.07576
H -3.41201 2.89268 4.65791
H -4.85529 -3.37890 4.90570
H -3.18460 1.31340 5.41029
H -0.45000 1.48848 5.65165
~~~
Mon - Fri
11:00 - 21:00
Sat - Sun
12:00 - 21:00
Payment Methods
Visa Master Cash
Other Info
10% Service Charge
Above information is for reference only. Please check details with the restaurant.
Review (12)
## Quantum chemistry results that have nothing to do with the page
/*
Here is 11 unconnected molecules or ions with the total composition C33H88O11 at a distorted geometry from the Open Molecules 2025 dataset. Energies are from ωB97M-V/def2-TZVPD.

Last column: Mulliken charge in e.
Cartesian coordinates (Å):
1 C 4.66776 -2.01923 1.44401  -0.926
2 C 4.92209 -1.68747 2.87674  0.898
3 C 4.48482 -2.77645 3.86877  -1.538
4 O 6.22794 -1.46039 3.15054  -0.565
5 H 5.35174 -2.83141 1.19776  0.389
6 H 4.82583 -1.20068 0.74180  0.327
7 H 3.58690 -2.03525 1.30403  -0.014
8 H 4.47286 -0.76110 3.23469  -0.087
9 H 4.85488 -2.41902 4.82971  0.431
10 H 4.89907 -3.77754 3.74910  0.401
11 H 3.40385 -2.85745 3.75460  0.319
12 H 6.72936 -2.26841 3.01908  0.353
13 C 0.86545 5.17347 1.10648  -1.858
14 C -0.48016 5.25171 0.46340  2.393
15 C -1.56851 6.05933 1.21138  -1.509
16 O -0.29947 5.88809 -0.78144  -0.503
17 H 1.35541 6.11754 1.34473  0.461
18 H 1.60289 4.81385 0.38886  0.398
19 H 0.89933 4.53059 1.98606  0.373
20 H -0.79391 4.21362 0.35370  -1.063
21 H -1.66353 5.60127 2.19588  0.317
22 H -2.53058 6.02335 0.70029  0.327
23 H -1.32014 7.10054 1.41708  0.441
24 H 0.11758 6.74188 -0.64468  0.298
25 C -3.83442 3.78171 -0.67590  -0.820
26 C -4.00694 2.29553 -1.05281  -0.082
27 C -3.00600 1.91747 -2.18945  -0.755
28 O -3.68439 1.45213 0.02247  -0.190
29 H -3.93273 4.48819 -1.50011  0.436
30 H -2.89272 3.83539 -0.12962  -0.264
31 H -4.50552 4.07574 0.13112  0.445
32 H -5.04572 2.07994 -1.30291  0.514
33 H -3.37363 2.47327 -3.05204  0.542
34 H -3.12101 0.88144 -2.50805  0.324
35 H -1.97345 2.20061 -1.98508  -0.170
36 H -4.15960 0.62127 -0.05139  0.119
37 C 0.59694 1.35265 -0.34446  -0.436
38 C -0.31926 0.24275 0.14992  1.895
39 C 0.55624 -0.82262 0.87841  -1.477
40 O -1.12609 0.86393 1.10606  -0.349
41 H 0.06707 2.27759 -0.57208  -0.339
42 H 1.12357 1.14185 -1.27522  0.407
43 H 1.38679 1.72792 0.30624  -0.061
44 H -0.84703 -0.30680 -0.62954  -0.427
45 H 1.40446 -1.16131 0.28349  0.333
46 H -0.05237 -1.71700 1.01176  0.027
47 H 0.87043 -0.49800 1.87037  0.390
48 H -1.82223 1.38920 0.70472  -0.109
49 C -2.15504 -3.21212 -1.26473  0.069
50 C -3.48476 -3.90200 -1.28916  0.946
51 C -4.56562 -3.04992 -1.94252  -1.381
52 O -3.38738 -5.15900 -1.92102  -0.558
53 H -1.45924 -3.69904 -0.58145  -0.116
54 H -2.35938 -2.18041 -0.97855  -0.099
55 H -1.75403 -3.12076 -2.27416  0.105
56 H -3.83042 -4.11299 -0.27717  -0.332
57 H -4.57515 -2.06527 -1.47513  0.175
58 H -5.55914 -3.49799 -1.92642  0.434
59 H -4.41507 -2.91805 -3.01399  0.309
60 H -4.15436 -5.70351 -1.72905  0.375
61 C -4.89464 2.31299 3.54047  -1.127
62 C -3.48871 2.23943 4.09514  0.590
63 C -2.84888 0.91362 3.76378  -1.344
64 O -2.79263 3.19321 3.49003  -0.496
65 H -4.89454 2.55414 2.47748  0.084
66 H -5.41596 3.13603 4.02928  0.364
67 H -5.51052 1.44509 3.77614  0.362
68 H -3.45514 2.35410 5.17858  0.262
69 H -1.76731 0.96088 3.89050  0.401
70 H -3.09826 0.67307 2.73032  0.149
71 H -3.18767 0.08111 4.38043  0.522
72 H -2.24721 2.75120 2.83525  0.244
73 C -0.21761 -0.43239 -3.85559  -0.599
*/
Level4 2021-04-24
The article is interrupted by records of molecules >
1.
3 unconnected molecules or ions with the total composition C24H50N3O10P2 at a distorted geometry. Source: the OMol25 dataset; level of theory: ωB97M-V with the def2-TZVPD basis set.

Properties
ΔE to the lowest compared entry with this formula, charge and spin in kcal per mole: 0.0
2S+1: 2
HOMO-LUMO gap (spin up / spin down) in eV: 9.3 / 9.7

Each line ends with the Mulliken charge.
CARTESIAN COORDINATES (ANGSTROEM)
P  4.93  0.44  3.45  1.03
P  -1.84  2.06  1.45  0.78
O  4.75  0.95  4.96  -0.30
O  -0.47  -1.61  -3.68  -0.63
O  6.45  -0.10  3.69  -0.39
O  -1.62  3.29  0.41  -0.27
O  -1.78  2.86  2.84  -0.36
O  4.43  -0.48  2.42  -0.81
O  -0.31  1.50  1.58  -0.19
O  5.23  1.86  2.71  -0.22
O  -4.67  -4.66  -4.81  -0.54
O  -2.51  0.98  0.70  -0.62
N  -6.59  -3.85  -6.06  -0.52
N  -1.45  -2.35  -4.05  0.57
N  -5.51  -1.37  -1.60  -0.67
C  -0.55  -4.54  -3.57  -1.87
C  3.10  3.02  3.11  -0.45
C  -4.90  -2.47  -1.72  -0.14
C  -2.31  -0.72  -5.61  -1.98
C  -2.82  -0.37  -3.26  -1.56
C  -0.05  0.09  1.49  -0.47
C  6.19  2.93  5.41  -0.97
C  6.80  -1.46  3.38  -0.33
C  -3.63  4.63  0.84  -0.96
C  4.14  2.55  2.10  -0.42
C  -1.62  -3.49  -3.14  2.07
C  -2.98  -4.24  -3.17  -2.43
C  -2.77  3.91  -0.18  -0.18
C  -1.25  -3.18  -1.67  -1.66
C  -5.69  -4.29  -5.50  0.56
C  5.81  1.51  5.76  -0.16
C  -2.64  -1.49  -4.30  1.83
C  -3.94  -2.26  -4.61  -2.09
C  0.50  -0.27  0.13  -0.83
C  -0.23  4.80  2.65  -1.12
C  7.56  -1.52  2.06  -1.13
C  -5.30  -3.40  -2.84  -1.52
C  -0.59  3.50  3.33  0.04
C  -4.18  -3.60  -3.89  2.24
H  -2.88  -0.72  -2.24  0.05
H  7.44  -1.82  4.19  0.34
H  3.68  1.91  1.34  0.19
H  -4.08  -2.71  -1.04  0.52
H  0.53  5.32  3.24  0.46
H  -4.08  3.92  1.55  0.28
H  2.61  2.17  3.59  0.26
H  -5.45  -4.38  -2.39  0.52
H  6.68  0.86  5.77  0.25
H  -0.09  0.18  -0.67  0.23
H  6.80  3.35  6.21  0.42
H  3.55  3.62  3.89  0.09
H  -1.52  -4.00  -1.01  0.29
H  -5.14  -0.84  -0.81  0.34
H  5.92  -2.09  3.35  0.35
H  -2.82  -5.22  -3.61  0.38
H  7.65  -2.56  1.73  0.36
H  -1.59  0.06  -5.42  0.38
H  0.45  -4.17  -3.39  0.40
H  0.19  4.63  1.66  0.27
H  -4.76  -1.60  -4.34  0.46
H  7.05  -0.95  1.29  0.28
H  -3.26  -4.46  -2.14  0.44
H  -0.75  -5.44  -3.00  0.43
H  8.56  -1.11  2.18  0.32
H  -0.94  -0.48  1.72  0.36
H  -3.05  5.34  1.42  0.15
H  0.25  2.81  3.34  0.06
H  -1.59  -2.20  -1.34  0.24
H  5.41  1.50  6.78  0.35
H  4.57  3.41  1.59  0.34
H  -0.16  -3.13  -1.65  0.53
H  -4.45  5.15  0.35  0.43
H  -3.22  -0.26  -6.00  0.43
H  0.69  -0.15  2.26  0.32
H  5.30  3.56  5.28  0.15
H  -6.21  -2.99  -3.27  0.53
H  -1.91  -1.39  -6.37  0.47
H  -0.80  3.72  4.38  0.33
H  -2.39  4.62  -0.91  0.33
H  -0.71  -4.75  -4.63  0.46
H  -3.35  3.16  -0.72  0.16
H  -1.10  5.45  2.54  0.25
H  0.51  -1.35  -0.01  0.26
H  -2.06  0.39  -3.41  0.40
H  -3.77  0.12  -3.51  0.42
H  2.33  3.61  2.61  0.21
H  -4.01  -2.36  -5.69  0.64
H  6.77  2.98  4.49  0.27
H  1.52  0.11  0.01  0.27


2.
“炙熱味噌拉麵+半熟蛋,炸雞皮”($85+$13+$13)又一間就快結業嘅日本拉麵店😢早幾個月先喺灣仔搬過去中環咋😩呢間拉麵店主打北海道炙燒味噌拉麵🍜除咗原味味噌,仲有辣味噌/炙醬油拉麵提供第一次嚟當然叫返碗原味炙熱味噌拉麵另外仲加咗隻半熟蛋🥚同炸雞皮🐔湯底味噌湯因為燒過所以有陣鑊氣🤣感覺有啲似港式小炒好特別🤣個人幾鍾意😍拉麵用上曲麵,入口彈牙叉燒得一薄片🙈配上薑蓉估唔到又幾夾😛炸雞皮幾有驚喜😍一大片炸到超級脆口無論就咁食定浸咗落湯都咁好食😋反而半熟蛋就冇咩特別可以唔叫都得😂拉麵店4月26正式結業,如果食材賣哂仲有可能會提早完想試嘅朋友真係要把握最後機會啦😢 continue reading
(The above review is the personal opinion of a user which does not represent OpenRice's point of view.)
Level4 2021-04-14
2021年4月麵匠宣佈在這個月結業,疫情持續加上有可能租金高企,由灣仔搬到中環只有一年多就停止營業,艱苦情度可想而知。味噌拉麵在香港拉麵圈屬小眾,都有幾間拉麵鋪供應,但主打味噌而又用炙式的方法煮味噌得此一家。 為何味噌拉麵在香港沒落,由於味噌味道怪,加上香港沒有幾天温度處於幾度,我認為在冬天下食味噌拉麵最好食。此家麵店主打炙味噌,味噌有陣燒焦的味道,一試難忘。 收到消息於是專程光顧,有可能是最後一次,4月13日晚上7時店子人客有三四個,要了炙熱味噌拉麵($85),加了炸雞皮($13),還要了炸雞炸章魚燒($55)和可口可樂($12),連我最討厭的加一服務費,總費$182,小食價格似乎有點兒貴。 炙熱味噌拉麵好食,對於我這類只注重湯同麵的大肥佬最好不過,你亦可加芽菜和加大麵量,亦很過癮。那般燒焦了的味噌味很好,再焦一點更好,拉麵有薑絲亦是特点,將薑絲放入味噌湯,又辣又刺激味覺獨特。燒雞皮我愛食,炸亦鬆脆,加上大塊亦不錯。小食炸雞亦不過不失,脆得来不覺得肥膩,炸章魚燒未夠多汁有點乾,小食整體普通。 最後一試,雖然普通,但亦無奈~ continue reading
(The above review is the personal opinion of a user which does not represent OpenRice's point of view.)
Level1 2021-03-10
位處中環核心地段,是附近大量上班族牛餐的熱門地點,但餐廳平日午餐時間大多毋須等候,質素可想而知。適逢二月中限聚令放寬至4人同枱,又懶得在open rice找餐廳,便與朋友到餐廳一試。餐牌選擇不多,剛好足夠每一款拉麵(另有一款炸雞飯提供)再加炸雞小食,埋單大概每人100。飯後4人一致認為: 劣食,唔抵! 拉麵質素差劣,湯底只有咸味,像溝稀的䜴油,拉麵口感非常似街市級數的伊麵,肉量非常少,印象中只有2-3薄片,沒有雞蛋,在超市買的即食拉麵的質素應該會更好。差不多的價錢在同一條街可以有十分多的選擇。一幻,立體派,豕王等都是十分出色的拉麵店。不要浪費錢金錢試伏 continue reading
(The above review is the personal opinion of a user which does not represent OpenRice's point of view.)
At my first try, I tried miso tsukemen, which I thought wasn’t so good. However, my friend advised me that the signature miso ramen is good so I had the miso on my second try, which was pretty rich in flavor and good so I decided to make another visit. Because all restaurants were restricted to only open until 18:00 now, I called to make sure what time the last order was and the guy who answered the phone once said 17:20 but when he repeated, he clearly said half past five. I repeated back to him to make sure it was 17:30 and he agreed while the last order was actually 17:20. It was 17:15 and I made it to the shop at 17:22 and he refused entry and never admitted his mistake.The food is recommendable but I’d say, avoid. If they treat customers like this during such hard times, you may well be disappointed in some other ways. There are other good Ramen shops in the region. continue reading
(The above review is the personal opinion of a user which does not represent OpenRice's point of view.)
Small nifty store serving miso and soy based ramen.  They also have a really affordable takeaway lunch menuThe environment feels like a small Japanese ramen place, and you order via the tick-box form.  Be sure to look around for their seasonal menu as they also serve tsukemen - which you need to order with a server.   Their noodle texture is really nice - a balanced thickness with a hint of chewiness.  The tsukemen soup was well made with a very strong 'fish' flavour and was consistently thick (as it should be).   Karaage chicken was served hot and had a nice thin batter - a bit on the pricier side compared to the noodles, but still enjoyable! Although their soft-boil eggs need a bit more of an improvement as the yolks were not exactly runny/soft - but otherwise a nice combo/meal! continue reading
(The above review is the personal opinion of a user which does not represent OpenRice's point of view.)